== Work order ==
It remains to restate the lines below from the one with "-2.577" to the one with "-3.076" with every line break kept.

== Entries ==
____________
Entry 1:
Below is C2H5NO2S as an isolated structure in a non-equilibrium geometry, with properties calculated with ωB97M-V/def2-TZVPD.

CARTESIAN COORDINATES (ANGSTROEM)
C  -1.557  -0.012  -0.721
C  0.352  0.103  1.149
N  1.888  -0.032  -0.095
O  1.676  -0.727  -1.053
O  2.909  0.558  0.128
S  -0.737  -1.063  0.481
H  -2.092  -0.966  -1.301
H  -0.872  0.555  -1.429
H  -2.277  0.595  -0.331
H  -0.150  1.077  1.059
H  0.860  -0.090  2.111

Computed properties:
HOMO: -9.1 eV
net charge: 0
Kohn-Sham gap: 9.5652 eV
multiplicity: 1
relative energy (zero: lowest compared OMol25 entry of this formula, charge and spin): 454.3 kJ/mol

=====

Entry 2:
Below is C32H43ClEuN3OP as an isolated structure in a non-equilibrium geometry, with properties calculated with ωB97M-V/def2-TZVPD.

CARTESIAN COORDINATES (ANGSTROEM)
Eu  -0.137  0.803  0.418
C  -0.821  3.414  -2.312
C  -1.511  4.267  -1.240
C  -3.015  3.956  -1.219
C  -0.826  4.049  0.097
C  0.560  4.070  0.143
C  1.241  3.729  1.292
C  0.553  3.365  2.439
C  1.292  3.003  3.679
C  -0.833  3.401  2.416
C  -1.515  3.740  1.263
H  -1.360  3.422  -3.253
H  -0.770  2.374  -1.984
H  0.199  3.745  -2.513
H  -1.378  5.334  -1.488
H  -3.194  2.935  -0.876
H  -3.451  4.039  -2.218
H  -3.564  4.631  -0.561
H  1.110  4.359  -0.734
H  2.316  3.725  1.297
H  1.496  3.895  4.276
H  2.249  2.529  3.442
H  0.714  2.306  4.293
H  -1.378  3.151  3.309
H  -2.590  3.772  1.273
Cl  -2.257  0.770  -1.110
C  -2.577  -0.538  -2.379
C  -3.685  -0.497  -3.230
C  -3.863  -1.506  -4.180
C  -2.933  -2.550  -4.281
C  -1.820  -2.593  -3.430
C  -1.632  -1.581  -2.461
P  -0.170  -1.454  -1.207
C  0.758  -2.706  -1.975
C  1.702  -2.352  -2.946
C  2.521  -3.334  -3.515
C  2.396  -4.667  -3.115
C  1.454  -5.021  -2.147
C  0.635  -4.043  -1.573
C  -1.157  -2.118  0.183
C  -2.510  -2.546  0.190
C  -3.071  -3.086  1.351
C  -2.308  -3.212  2.514
C  -0.977  -2.794  2.516
C  -0.411  -2.254  1.362
H  -4.398  0.315  -3.152
H  -4.719  -1.480  -4.842
H  -3.076  -3.327  -5.020
H  -1.128  -3.414  -3.540
H  1.810  -1.321  -3.262
H  3.252  -3.061  -4.264
H  3.029  -5.426  -3.557
H  1.357  -6.054  -1.837
H  -0.088  -4.340  -0.827
H  -3.146  -2.484  -0.677
H  -4.104  -3.413  1.351
H  -2.745  -3.631  3.408
H  -0.381  -2.895  3.416
H  0.629  -1.940  1.384
C  2.732  0.828  -1.863
O  1.706  0.803  -0.889
H  3.283  -0.116  -1.837
H  3.408  1.662  -1.661
H  2.282  0.957  -2.851
H  2.147  0.686  -0.008
N  3.783  -1.059  3.043
C  2.988  0.132  3.443
C  2.037  0.528  2.303
N  1.227  -0.561  1.782
H  4.422  -1.357  3.790
H  4.343  -0.870  2.201
H  3.155  -1.844  2.830
H  3.696  0.932  3.674
H  2.438  -0.149  4.345
H  2.619  0.951  1.476
H  1.375  1.326  2.658
H  0.632  -1.049  2.490
H  1.712  -1.259  1.175
N  -0.137  0.803  4.012
C  -0.137  0.803  2.842
H  -0.137  0.803  5.022
H  -1.354  -0.413  1.635

Computed properties:
HOMO (alpha / beta): -10.8 / -11.0 eV
net charge: +2
Kohn-Sham gap (alpha / beta): 4.6792 / 4.8751 eV
multiplicity: 8
relative energy (zero: lowest compared OMol25 entry of this formula, charge and spin): 6.5 kJ/mol
expectation value of S²: 15.76

=====

Entry 3:
Below is C10H6Cl4MnN2O5 as an isolated structure in a non-equilibrium geometry, with properties calculated with ωB97M-V/def2-TZVPD.

CARTESIAN COORDINATES (ANGSTROEM)
Mn  0.088  0.200  -0.814
N  -0.047  -1.675  -1.667
C  0.809  -1.382  -2.840
C  0.912  0.155  -2.890
O  0.394  0.811  -3.778
N  1.598  0.627  -1.808
C  1.935  2.037  -1.762
C  0.771  2.789  -1.084
O  0.644  3.979  -1.155
O  -0.022  1.954  -0.438
H  0.266  -2.495  -1.166
H  -1.004  -1.847  -1.955
H  0.408  -1.759  -3.778
H  1.805  -1.784  -2.675
H  2.113  2.450  -2.753
H  2.815  2.182  -1.135
Cl  -3.377  -0.426  4.720
C  -2.132  -0.479  3.545
C  -0.822  -0.821  3.929
Cl  -0.487  -1.231  5.559
C  0.204  -0.834  2.993
Cl  1.815  -1.234  3.422
C  -0.079  -0.504  1.667
O  0.812  -0.473  0.694
C  -1.409  -0.221  1.260
O  -1.560  -0.031  -0.024
C  -2.428  -0.188  2.219
Cl  -4.019  0.200  1.717

Computed properties:
____________

== Worked solution ==
C  -2.577  -0.538  -2.379
C  -3.685  -0.497  -3.230
C  -3.863  -1.506  -4.180
C  -2.933  -2.550  -4.281
C  -1.820  -2.593  -3.430
C  -1.632  -1.581  -2.461
P  -0.170  -1.454  -1.207
C  0.758  -2.706  -1.975
C  1.702  -2.352  -2.946
C  2.521  -3.334  -3.515
C  2.396  -4.667  -3.115
C  1.454  -5.021  -2.147
C  0.635  -4.043  -1.573
C  -1.157  -2.118  0.183
C  -2.510  -2.546  0.190
C  -3.071  -3.086  1.351
C  -2.308  -3.212  2.514
C  -0.977  -2.794  2.516
C  -0.411  -2.254  1.362
H  -4.398  0.315  -3.152
H  -4.719  -1.480  -4.842
H  -3.076  -3.327  -5.020